Now find "13.6597" and "7.9398" in the rows further down, and return these two lines and those between.

'''
Entry 1:
Crystalline Na3YTaSi2PO12 at its relaxed geometry, computed with PBE.

Geometry as extended XYZ:
```
120
Lattice="-5.4213 6.5098 3.7123 -0.9139 -8.8104 2.6630 15.2011 3.4679 16.3570" Properties=species:S:1:pos:R:3 pbc="T T T"
Na 1.2929 -0.5375 14.4311
Na 15.0779 3.4423 16.3859
Na 8.7763 4.3221 16.8706
Na 1.0250 2.5334 8.8438
Na 0.1447 -3.0966 5.6162
Na 7.5945 -1.4174 13.9464
Na 0.1882 5.0361 6.6191
Na -2.1299 1.7208 9.3273
Na 5.7844 6.0422 16.8146
Na 9.2925 4.8426 13.6597
Na 6.7577 1.0853 11.7216
Na 4.4397 -2.2299 14.4298
Na -2.8472 -1.3765 5.5601
Na 0.6609 -2.5760 2.4053
Na 7.9059 3.6444 20.5365
Na 11.9231 2.6297 16.8693
Na 4.6362 3.4831 7.9997
Na 1.8091 -0.0170 11.2202
Y 5.3361 1.1295 5.7894
Y 6.6758 0.5899 20.2684
Y 6.4843 3.6886 14.6042
Y -1.0419 1.9816 6.3510
Y -2.1473 -3.7301 3.3498
Y 5.5276 -1.9692 11.4535
Ta 3.5351 -0.0227 16.9337
Ta 2.2023 0.5195 2.4478
Ta 11.0185 4.8370 19.3732
Ta 3.3504 3.0785 11.2626
Ta 2.3869 -2.5817 8.1188
Ta 9.9200 -0.8723 16.3652
Si -0.5994 -0.8401 8.6040
Si 3.4287 -1.7465 4.9111
Si 9.5843 1.8318 14.1831
Si 6.6970 -1.5858 17.4493
Si 6.8840 4.0195 11.0436
Si 4.5769 0.8125 13.7260
Si -4.4687 0.9230 6.6410
Si -1.0207 -0.1941 3.5319
Si 13.4536 0.0687 16.1461
Si 11.1465 -3.1382 18.8286
Si 2.1008 -3.0278 11.7436
Si 5.5488 -4.1448 8.6345
P 1.3732 -5.8982 7.7956
P 10.6715 -3.5477 14.2656
P 3.4352 5.4712 13.9475
P -2.4675 4.3538 4.0605
P 10.0048 1.5205 19.0500
P 4.1020 0.4030 9.1630
O 3.5132 2.4785 5.9108
O -0.3471 -0.6661 10.1742
O -0.8436 5.7465 9.0787
O 11.0159 2.4341 14.5664
O 6.2100 2.4317 19.0240
O 7.7826 7.8529 16.2250
O 5.2520 -0.9614 16.8023
O 9.5317 1.7444 12.4602
O 9.7225 -4.7383 13.7541
O -2.1903 -1.4862 8.4292
O 2.5126 -0.9300 3.7318
O 1.2324 -6.7953 6.4708
O 4.6614 5.0375 14.7257
O 7.1363 4.1935 12.6137
O 5.7259 1.7958 14.1812
O -3.0371 1.5253 7.0243
O -1.5077 3.8234 5.1066
O -0.8490 0.4343 4.9706
O -2.4658 0.4303 2.8849
O -4.5212 0.8355 4.9181
O -3.4166 3.1632 3.5490
O 5.2932 3.3734 10.8687
O 3.6608 1.6290 12.5467
O 3.2945 4.5741 12.6226
O 11.2309 1.0868 19.8282
O 13.7059 0.2428 17.7163
O 12.2955 -2.1550 19.2838
O 3.5325 -2.4255 12.1269
O 5.0619 -0.1274 10.2092
O 5.7205 -3.5165 10.0732
O 4.1038 -3.5204 7.9874
O 2.0483 -3.1152 10.0207
O 3.1530 -0.7876 8.6516
O 11.8627 -0.5773 15.9713
O 10.2303 -2.3217 17.6492
O 9.8641 0.6234 17.7252
O 0.0983 0.7638 12.5993
O 1.0035 -2.0641 12.4143
O 4.8607 1.1051 8.0456
O 13.6827 1.5141 15.4819
O 12.8376 4.3639 15.6065
O 8.7695 1.4984 19.9392
O 3.6366 6.9507 13.4285
O 7.9196 2.8396 10.4518
O 3.5647 0.3920 14.9821
O -4.5547 -0.6642 7.1779
O -3.4420 5.4063 4.7248
O 0.2323 0.2080 2.5084
O 7.5817 5.6235 15.0388
O 8.4869 2.7955 14.8539
O 6.0089 3.6641 16.8605
O -0.3702 0.6053 7.9398
O -1.2154 3.4550 8.0644
O 1.0518 2.8901 6.0218
O 10.2061 2.9999 18.5311
O 9.0678 5.3986 19.2667
O 11.0481 5.2516 17.4216
O 2.9287 4.1954 9.6174
O 3.1275 1.4555 9.8274
O 1.3805 2.7670 11.3233
O -1.0499 -1.7952 3.7844
O -0.1447 -4.6232 3.5995
O -2.6227 -3.7546 5.6061
O 6.1993 -3.3455 13.0424
O 5.3542 -0.4957 13.1670
O 7.6213 -1.0607 11.1243
O 1.5745 -4.4187 7.2767
O 0.4362 -2.0200 8.0123
O 2.4165 -2.1671 6.1672
O 9.4983 0.2447 14.7199
O 9.6970 -2.4952 14.9299
O 7.9501 -1.1837 16.4259
```

Results
The calculation puts the magnetic moment at 0.00 μB per cell. The calculation puts the energy of formation at -3036 meV per atom. The energy relative to the lowest polymorph listed for this composition is 0.0039 eV per atom.


Entry 2:
Crystalline Na3YTaSi2PO12 at its relaxed geometry, computed with PBE.

Geometry as extended XYZ:
```
240
Lattice="13.3909 0.0000 -8.9320 0.0000 27.7396 0.0000 -0.2507 0.0000 9.1328" Properties=species:S:1:pos:R:3 pbc="T T T"
Na 3.0731 7.1214 6.9036
Na 3.2093 16.3223 -2.0688
Na 3.2301 25.5214 -2.0843
Na 9.8938 6.7484 -2.1288
Na 9.8002 16.0880 -1.9839
Na 9.7794 25.2871 -1.9684
Na 9.9047 2.4525 -6.5348
Na 9.9255 11.6516 -6.5503
Na 9.7685 20.9912 2.4376
Na 3.1047 2.2182 2.4821
Na 3.0840 11.4173 2.4976
Na 3.1984 20.6182 2.3372
Na 6.4109 0.8740 2.4722
'''

Na 9.2925 4.8426 13.6597
Na 6.7577 1.0853 11.7216
Na 4.4397 -2.2299 14.4298
Na -2.8472 -1.3765 5.5601
Na 0.6609 -2.5760 2.4053
Na 7.9059 3.6444 20.5365
Na 11.9231 2.6297 16.8693
Na 4.6362 3.4831 7.9997
Na 1.8091 -0.0170 11.2202
Y 5.3361 1.1295 5.7894
Y 6.6758 0.5899 20.2684
Y 6.4843 3.6886 14.6042
Y -1.0419 1.9816 6.3510
Y -2.1473 -3.7301 3.3498
Y 5.5276 -1.9692 11.4535
Ta 3.5351 -0.0227 16.9337
Ta 2.2023 0.5195 2.4478
Ta 11.0185 4.8370 19.3732
Ta 3.3504 3.0785 11.2626
Ta 2.3869 -2.5817 8.1188
Ta 9.9200 -0.8723 16.3652
Si -0.5994 -0.8401 8.6040
Si 3.4287 -1.7465 4.9111
Si 9.5843 1.8318 14.1831
Si 6.6970 -1.5858 17.4493
Si 6.8840 4.0195 11.0436
Si 4.5769 0.8125 13.7260
Si -4.4687 0.9230 6.6410
Si -1.0207 -0.1941 3.5319
Si 13.4536 0.0687 16.1461
Si 11.1465 -3.1382 18.8286
Si 2.1008 -3.0278 11.7436
Si 5.5488 -4.1448 8.6345
P 1.3732 -5.8982 7.7956
P 10.6715 -3.5477 14.2656
P 3.4352 5.4712 13.9475
P -2.4675 4.3538 4.0605
P 10.0048 1.5205 19.0500
P 4.1020 0.4030 9.1630
O 3.5132 2.4785 5.9108
O -0.3471 -0.6661 10.1742
O -0.8436 5.7465 9.0787
O 11.0159 2.4341 14.5664
O 6.2100 2.4317 19.0240
O 7.7826 7.8529 16.2250
O 5.2520 -0.9614 16.8023
O 9.5317 1.7444 12.4602
O 9.7225 -4.7383 13.7541
O -2.1903 -1.4862 8.4292
O 2.5126 -0.9300 3.7318
O 1.2324 -6.7953 6.4708
O 4.6614 5.0375 14.7257
O 7.1363 4.1935 12.6137
O 5.7259 1.7958 14.1812
O -3.0371 1.5253 7.0243
O -1.5077 3.8234 5.1066
O -0.8490 0.4343 4.9706
O -2.4658 0.4303 2.8849
O -4.5212 0.8355 4.9181
O -3.4166 3.1632 3.5490
O 5.2932 3.3734 10.8687
O 3.6608 1.6290 12.5467
O 3.2945 4.5741 12.6226
O 11.2309 1.0868 19.8282
O 13.7059 0.2428 17.7163
O 12.2955 -2.1550 19.2838
O 3.5325 -2.4255 12.1269
O 5.0619 -0.1274 10.2092
O 5.7205 -3.5165 10.0732
O 4.1038 -3.5204 7.9874
O 2.0483 -3.1152 10.0207
O 3.1530 -0.7876 8.6516
O 11.8627 -0.5773 15.9713
O 10.2303 -2.3217 17.6492
O 9.8641 0.6234 17.7252
O 0.0983 0.7638 12.5993
O 1.0035 -2.0641 12.4143
O 4.8607 1.1051 8.0456
O 13.6827 1.5141 15.4819
O 12.8376 4.3639 15.6065
O 8.7695 1.4984 19.9392
O 3.6366 6.9507 13.4285
O 7.9196 2.8396 10.4518
O 3.5647 0.3920 14.9821
O -4.5547 -0.6642 7.1779
O -3.4420 5.4063 4.7248
O 0.2323 0.2080 2.5084
O 7.5817 5.6235 15.0388
O 8.4869 2.7955 14.8539
O 6.0089 3.6641 16.8605
O -0.3702 0.6053 7.9398